The most replays with Baldur's Gate

Most certain i can call Baldur's Gate games series of my life. No other game has been replayed by me this much. - did it about 14 times alredy and now after year i feel urge to start new campaign (well maybe Betrayal at Krondor can come quite close with 9 replays but still wont reach BG) For me no other game have such replay value and charm. So what about you guys. How many times did you beat BG series from start to end?
BG1: 6-8 runs, 4 no-reload
SoD: 5 runs, 5 no-reload
BG2: more than 10 runs, 6 no-reload
ToB: less than 10 runs, 5 no-reload
IWD: less than 10 runs, 3 no-reload
IWD2: less than 10 runs, 2 no-reload
Generally, I get bored and restart some time around Brynlaw/Spellhold.
Can't count but I rarely restart.
BG far more than BG2.
There's just something about the start of BG that's magical/transporting/endlessly fascinating. I never get bored with it, you can play around so much.
But strangely, (though perhaps not), "no reload" ruins the experience for me, you have to be so strict and constrained and careful.
I've also been playing multi-player for a while now - 2 successes there out of approaching a couple of hundred attempts.
On the actual question, too many times to give an actual answer.
BG games made - 3000+ at least
BG games completed - maybe only 1000 - 1500
BG 2 game made - 2000+ or so
BG 2 game completed - probably again around 1000 or so
Full runs starting from BG1 at 0 XP to the last boss fight of ToB at 8 million XP - a few dozen times ( i normally would stop at abizigal's enclave and start a new BG1 game )
i remember one time years ago i started a new game after work on friday evening in candlekeep and by sunday night i was fighting the last boss in ToB with 8 million XP per character, that was my quickest full play through ever
i think back then full play throughs would take:
BG 1 - 12-14 hours
BG 2 - 10-12 hours
ToB - 8+ hours?
a full play through being; doing every quest, getting all zee items, and gathering lots of loltastic gold/xp and hitting the XP cap in all games
even though, i havent played in months, my playthroughs have been a little slower due to the fact that when i play BG1 i play gold piece runs, and in SoA i do every little thing to get XP for ToB ( cowled wizards, and centurion soldiers, good times )
aka not much school homework was getting done, hence the reason why i passed high school with a C average haha
However...if I asked how many hours I put into trying different characters, mapping out each dual class possibility in excel for optimal combination, tinkering with mods, fixing bugs, artwork, rewriting the entire trilogy novelisation... I wouldn't like to comment heh. I've probably spent ten times longer doing things around this game, than actually playing it
I mean, yes, addictive game, loyal following, etc., but come on.
But really, too many to count. Full runs importing from BG1 to the end of ToB, maybe 25-30. But times playing BG1 and BG1 only, maybe 15? And for BG2 and BG2 only before ToB came out? Probably another 10. And then times playing just BG2+ToB? A lot. I couldnt make a reliable estimate but it wouldn't be less than 50, Ive beat the game with every kit at least once, and probably every multiclass (but not every race and multiclass), though I cant say I ever did it with every specialist wizard.
There were always new mods coming out back in the day, and usually they were worth a new playthrough to try out.
Over the last, I dunno, 10 years I've just played the saga through about once per year, first with Baldurs Gate trilogy, then with the EEs.
The BG series is my favorite game of all time, ever, no questions asked. I like BG2 more than BG1, though.
Let's see if I can estimate my usage a bit more carefully ...
- in the last couple of years I've documented about 200 attempts on my 'long-life' solo challenge. That though accounts for a minority of my play. I suspect probably no more than a quarter, but let's call it a third to ensure I'm not exaggerating. In terms of runs, most of the remaining play is still solo, but some of that will be at a slower pace (for instance while playing LoB or when specifically undertaking a completionist run). Let's add 300 for that. Playing with a party is much slower, so probably only about 20 there. There's also something like 40 multiplayer runs to add in.
- so that's 560 attempts in a couple of years. I didn't begin playing BG intensively until a while after it was released, so let's start the clock running from 2002. There has been the odd period where I didn't play, but for most of that time I've probably played a comparable amount to the last couple of years. Again to be conservative, let's say that my time spent on the game should be multiplied by 6 rather than 8.
- the number of runs though will be lower than that as when I started playing I typically did fairly completionist runs using a full party of NPCs (and in the very early days that wasn't necessarily always even no-reload). It was a few years before I settled into playing mainly no-reload, solo games.
____________
[1]
Diffraction record for DyB4. The XRD peak list is theoretical, not measured: it uses DFT lattice parameters and positions (GGA-PBE) and Cu Kα, 1.54184 Å.
Lines closer than 0.1° are merged.

Crystal structure
abc: 7.102 7.102 4.019
angles: 90.00 90.00 90.00
Positions (direct):
Dy (0.182, 0.318, 0.000)
Dy (0.318, 0.818, 0.000)
Dy (0.682, 0.182, 0.000)
Dy (0.818, 0.682, 0.000)
B (0.000, 0.000, 0.203)
B (0.000, 0.000, 0.797)
B (0.039, 0.824, 0.500)
B (0.087, 0.587, 0.500)
B (0.176, 0.039, 0.500)
B (0.324, 0.539, 0.500)
B (0.413, 0.087, 0.500)
B (0.461, 0.324, 0.500)
B (0.500, 0.500, 0.203)
B (0.500, 0.500, 0.797)
B (0.539, 0.676, 0.500)
B (0.587, 0.913, 0.500)
B (0.676, 0.461, 0.500)
B (0.824, 0.961, 0.500)
B (0.913, 0.413, 0.500)
B (0.961, 0.176, 0.500)

Top 10 peaks for 2θ = 15–90°, low angle first:
d = 4.019 Å, 2θ = 22.12°, intensity 58
d = 3.551 Å, 2θ = 25.08°, intensity 38
d = 3.176 Å, 2θ = 28.10°, intensity 78
d = 2.661 Å, 2θ = 33.68°, intensity 54
d = 2.492 Å, 2θ = 36.04°, intensity 100
d = 1.961 Å, 2θ = 46.31°, intensity 18
d = 1.722 Å, 2θ = 53.18°, intensity 29
d = 1.698 Å, 2θ = 54.00°, intensity 26
d = 1.583 Å, 2θ = 58.28°, intensity 35
d = 1.308 Å, 2θ = 72.24°, intensity 24

[2]
Diffraction record for EuY2Se4. The XRD peak list is theoretical, not measured: it uses DFT lattice parameters and positions (GGA-PBE) and Cu Kα, 1.54184 Å.
Lines closer than 0.1° are merged.

Crystal structure
abc: 12.567 4.131 14.948
angles: 90.00 90.00 90.00
Positions (direct):
Eu (0.242, 0.250, 0.163)
Eu (0.258, 0.750, 0.663)
Eu (0.742, 0.250, 0.337)
Eu (0.758, 0.750, 0.837)
Y (0.066, 0.250, 0.389)
Y (0.081, 0.250, 0.901)
Y (0.419, 0.750, 0.401)
Y (0.434, 0.750, 0.889)
Y (0.566, 0.250, 0.111)
Y (0.581, 0.250, 0.599)
Y (0.919, 0.750, 0.099)
Y (0.934, 0.750, 0.611)
Se (0.024, 0.750, 0.784)
Se (0.090, 0.250, 0.579)
Se (0.133, 0.750, 0.030)
Se (0.208, 0.750, 0.322)
Se (0.292, 0.250, 0.822)
Se (0.367, 0.250, 0.530)
Se (0.410, 0.750, 0.079)
Se (0.476, 0.250, 0.284)
Se (0.524, 0.750, 0.716)
Se (0.590, 0.250, 0.921)
Se (0.633, 0.750, 0.470)
Se (0.708, 0.750, 0.178)
Se (0.792, 0.250, 0.678)
Se (0.867, 0.250, 0.970)
Se (0.910, 0.750, 0.421)
Se (0.976, 0.250, 0.216)

Top 10 peaks for 2θ = 15–90°, low angle first:
d = 3.654 Å, 2θ = 24.36°, intensity 34
d = 3.082 Å, 2θ = 28.97°, intensity 100
d = 2.896 Å, 2θ = 30.87°, intensity 37
d = 2.886 Å, 2θ = 30.99°, intensity 48
d = 2.534 Å, 2θ = 35.42°, intensity 63
d = 2.501 Å, 2θ = 35.91°, intensity 20
d = 2.466 Å, 2θ = 36.43°, intensity 30
d = 2.316 Å, 2θ = 38.89°, intensity 33
d = 2.065 Å, 2θ = 43.84°, intensity 54
d = 2.021 Å, 2θ = 44.86°, intensity 22

[3]
Diffraction record for Mg6AlSi. The XRD peak list is theoretical, not measured: it uses DFT lattice parameters and positions (GGA-PBE) and Cu Kα, 1.54184 Å.
Lines closer than 0.1° are merged.

Crystal structure
abc: 5.062 6.079 6.079
angles: 61.37 90.00 90.00
Positions (direct):
Mg (0.000, 0.000, 0.000)
Mg (0.000, 0.492, 0.994)
Mg (0.000, 0.499, 0.499)
____________
- so, continuing the conservative approach, let's multiply the 560 by 4 (that also ignores the fact that, before I started playing MP I would have been playing SP and would probably have 5 or 6 runs of that in the same time as a single MP game). That would give 2,240 runs.
At the time I did my original post I had in mind a figure of 3,000, though I didn't state that since I hadn't thought it through. Having now gone through the above chain of thought I'm pretty sure the true figure would be at least that, but even if I'm fooling myself there I can't see how the total could be below 2,000.
In general though, and in the simplest of terms, not even close to being enough to make me want to stop anytime soon.
(Plus, ya know, new mods are like candy, Oh, gotta try that out. That one got an update. Oh, gotta try that one out, etc., etc, and so on.)
- Are you literally a hermit?
I honestly cannot take such numbers seriously and clearly I'm not the only one.
If I assumed an average run would take 10 hours (and I suspect the true figure would actually be rather less than this), that would mean that the 2,240 runs I calculated earlier in the thread would require 22,400 hours. Based on playing for 16 years, those hours would be needed over 5,840 days, which would mean playing a bit less than 4 hours a day. Given that I sleep several hours a day less than the rest of my family, I'm sure the amount of gaming I do would be well above that, but I do sometimes play other games ...
The older I get, the more I prefer BG over BG2